If that cute little face doesn't brighten your day, then I don't know what will! That is my Jayda bug! She is the beautiful 17 month old daughter of my first cousin, Megan, and she is growing up way too fast! I am so excited to get to spend a little more time with her this summer, as she is changing so quickly. It is so wonderful and refreshing to spend more time with all of my family, since my schedule settles down significantly during the summer.

Since Miss Ohio is over, I feel as though my summer has officially begun! I have a more strict schedule in keeping up with the three online classes I am taking this summer, and also I am working 23 hours a week for my job. As well as the schedule, I have more free time to relax and enjoy the summer as I please! For one of my online classes, which is a Bible course, I had to learn about another religion different than my own. I had to research that religion and immerse myself in it, finding commonalities and differences between us. I chose Islam. This religion has always been linked with so much hatred and so many misconceptions, so I decided to get my own perspective. I attended a 2 hour seminar on Shariah (the Muslim way of life) in Toledo, OH at the University of Toledo. It was an incredibly fulfilling and engaging experience! I was nervous walking in because I knew that we had our theological differences, but they were some of the nicest people I have ever met, and we treated each other with the utmost of respect. I truly learned a lot about their beliefs and their way of life, and many of my pre-existing stereotypes were shattered upon entering that room. I was thankful that I had the opportunity to attend, on a personal level as well as an educational one.

# Materials data from another source follow
/*
1.
The following is a theoretical X-ray diffraction stick pattern of Mg6NbH16. It was derived from a PBE-relaxed structure, using Cu Kα (λ = 1.5418 Å).
Neutral-atom scattering factors, no anomalous dispersion.

Crystal structure
```
data_Mg6NbH16
_cell_length_a 9.4814
_cell_length_b 9.4814
_cell_length_c 9.4814
_cell_angle_alpha 90.00
_cell_angle_beta 90.00
_cell_angle_gamma 90.00
_space_group_name_H-M_alt 'F m -3 m'
_space_group_IT_number 225
_space_group_name_Hall '-F 4 2 3'
loop_
_atom_site_label
_atom_site_type_symbol
_atom_site_fract_x
_atom_site_fract_y
_atom_site_fract_z
_atom_site_occupancy
Mg1 Mg 0.0000 0.2500 0.2500 1
Nb1 Nb 0.0000 0.0000 0.0000 1
H1 H 0.1154 0.1154 0.1154 1
H2 H 0.1430 0.1430 0.3570 1
```

Most intense lines, 2θ from 5° to 70°, sorted by position:
| d_spacing | 2θ/deg | Rel. int. | index |
| --- | --- | --- | --- |
| 5.474 | 16.19 | 898 | 1 1 1 |
| 2.859 | 31.29 | 498 | 3 1 1 |
| 2.737 | 32.72 | 1000 | 2 2 2 |
| 2.370 | 37.96 | 418 | 4 0 0 |
| 2.175 | 41.52 | 211 | 3 3 1 |
| 1.825 | 49.98 | 167 | 3 3 3 |
| 1.676 | 54.77 | 362 | 4 4 0 |
| 1.603 | 57.51 | 173 | 5 3 1 |
| 1.429 | 65.28 | 378 | 6 2 2 |
| 1.369 | 68.57 | 101 | 4 4 4 |

2.
The following is a theoretical X-ray diffraction stick pattern of Pm2PrCu9. It was derived from a PBE-relaxed structure, using Cu Kα (λ = 1.5418 Å).
Neutral-atom scattering factors, no anomalous dispersion.

Crystal structure
```
data_Pm2PrCu9
_cell_length_a 5.2653
_cell_length_b 5.2653
_cell_length_c 25.1375
_cell_angle_alpha 90.00
_cell_angle_beta 90.00
_cell_angle_gamma 120.00
_space_group_name_H-M_alt 'R -3 m'
_space_group_IT_number 166
_space_group_name_Hall '-R 3 2"'
loop_
_atom_site_label
_atom_site_type_symbol
_atom_site_fract_x
_atom_site_fract_y
_atom_site_fract_z
_atom_site_occupancy
Pm1 Pm 0.0000 0.0000 0.1440 1
Pr1 Pr 0.0000 0.0000 0.0000 1
Cu1 Cu 0.0000 0.0000 0.3315 1
Cu2 Cu 0.0000 0.0000 0.5000 1
Cu3 Cu 0.0047 0.5023 0.0813 1
```

Most intense lines, 2θ from 5° to 70°, sorted by position:
| d_spacing | 2θ/deg | Rel. int. | index |
| --- | --- | --- | --- |
| 2.821 | 31.72 | 400 | 1 0 7 |
| 2.633 | 34.06 | 445 | 1 1 0 |
| 2.587 | 34.67 | 234 | 0 1 8 |
| 2.271 | 39.70 | 344 | 0 2 1 |
| 2.229 | 40.47 | 1000 | 1 1 6 |
| 2.095 | 43.19 | 153 | 0 0 12 |
| 2.076 | 43.59 | 140 | 2 0 5 |
| 2.043 | 44.34 | 119 | 0 1 11 |
| 1.554 | 59.49 | 127 | 2 1 7 |
| 1.429 | 65.31 | 230 | 0 3 6 |

3.
The following is a theoretical X-ray diffraction stick pattern of Nd6MgSn3. It was derived from a PBE-relaxed structure, using Cu Kα (λ = 1.5418 Å).
Neutral-atom scattering factors, no anomalous dispersion.

Crystal structure
```
data_Nd6MgSn3
_cell_length_a 11.9319
_cell_length_b 11.9060
_cell_length_c 8.9098
_cell_angle_alpha 90.00
_cell_angle_beta 90.00
_cell_angle_gamma 90.00
_space_group_name_H-M_alt 'C m c m'
_space_group_IT_number 63
_space_group_name_Hall '-C 2c 2'
loop_
_atom_site_label
_atom_site_type_symbol
_atom_site_fract_x
_atom_site_fract_y
_atom_site_fract_z
_atom_site_occupancy
*/

Other than my college courses, as I mentioned, I am trying to enjoy some fun, social aspects of this summer vacation as well! :) This past Fourth of July weekend, I was blessed enough to have both Friday and Monday off from work, so I took off for Delphi, Indiana to visit primarily my boyfriend and his family, but also got to see a few college friends as well! I left right after work on Thursday and stayed until early this past Tuesday morning, when I awoke and left by 7 am so I could clock in at work at 10 am. Let's just say 5-hour energy drink was my best pal that day. ;)
I had such a blast over the holiday weekend, though! I did everything from a fun double date, babysitting Brett's little five-year old sister, watching Brett beast the drums, bass, guitar, and vocals at a gig on Friday, play Sims, write music, visit local landmarks, see my friends, sing in church, watch Transformers 3, stargaze, get sunburned on the lake, slip and slide, cook out, have a wonderful, resourceful date in Indy, and watch the best fireworks ever!!! It was a fabulous weekend, one full of many wonderful memories and it was a much needed recharge for my batteries. :)

In terms of my job, I am loving every minute of it! The kids who I have the opportunity to serve food to are fantastic and adorable! I love seeing their faces light up when they get a free meal. One of the perks of my job is that I get to take home any leftover food that is unused that the college would just throw away. So today, I was sent home with 2 whole bundles of bananas! They were quite ripe, so I decided to make some delicious and healthy oatmeal banana muffins with a sugary banana glaze for the top!! I may make some banana pudding tomorrow. :) I am also reading a wonderful book right now by Francine Rivers entitled, "Lineage of Grace" and it is about 5 Biblical women who were unlikely candidates for greatness, but through God's mercy and love in their brokenness, they had a hand in changing eternity. It focuses in on Tamar, Ruth, Bathsheba, Rahab, and Mary. I love how I can actually bake and read during the summer, things I can never enjoy during my busy schoolyear.

In upcoming news, this coming Saturday, I will be judging the Miss Pride of Montpelier pageant! This pageant is a wonderful opportunity for girls of all ages to develop poise, stage presence, confidence, and a sense of self worth through pageantry! They compete in a few different stages of competition, the oldest "Miss " division is the only one with a talent portion. I am very excited to judge, as I always think it is quite eye-opening to be on the other side of the table. :) It should be a great experience and a fun resume-builder as well. I cannot wait to see some of my Miss Ohio sisters who will also be judging the pageant as well! Reunion!!
I may be formulating a new platform idea, so in the future, you may see a few blog entries with me working on my new platform. But until then, I will let you wonder in anticipation. :) I am hoping to plan a few nursing home visits here in the near future, so be on the lookout for a new update. In the mean time, remember THIS is the day the Lord has made! Even if it may seem like a terrible day to you... you have so much to be thankful for! God bless!
Courtney - 07/08/11